What to do =
Could you find "_cell_length_c 14.021" and "_cell_angle_gamma 90.00" in the listing further down, and print these two lines and those between?

Source =
# PBE with a Hubbard U LiFePO4, relaxed
# energy relative to the lowest polymorph listed for this composition: 51 meV/atom
# energy: -6.7812 eV/atom
# crystal system: orthorhombic
data_LiFePO4
_chemical_formula_sum 'Li8 Fe8 P8 O32'
_space_group_name_H-M_alt 'P b c a'
_space_group_IT_number 61
_cell_length_a 5.900
_cell_length_b 7.521
_cell_length_c 14.021
_cell_angle_alpha 90.00
_cell_angle_beta 90.00
_cell_angle_gamma 90.00
loop_
_space_group_symop_operation_xyz
'x,y,z'
'-x,-y,-z'
'-x+1/2,-y,z+1/2'
'x+1/2,y,-z+1/2'
'x+1/2,-y+1/2,-z'
'-x+1/2,y+1/2,z'
'-x,y+1/2,-z+1/2'
'x,-y+1/2,z+1/2'
loop_
_atom_site_label

Completed =
_cell_length_c 14.021
_cell_angle_alpha 90.00
_cell_angle_beta 90.00
_cell_angle_gamma 90.00